Create the customer card page extension object


A page extension object can be used to add new functionality to pages that are part of the Business Central service.

The following page extension object extends the Customer Card page object by adding the RewardLevel and RewardPoints field controls after the Name field control on the page. The fields are added in the layout section.

pageextension 50100 "Customer Card" extends "Customer Card" 
            field(RewardLevel; RewardLevel) 
                ApplicationArea = All; 
                Caption = 'Reward Level'; 
                Description = 'Reward level of the customer.'; 
                ToolTip = 'Specifies the level of reward that the customer has at this point.';
                Editable = false; 

            field(RewardPoints; Rec.RewardPoints) 
                ApplicationArea = All; 
                Caption = 'Reward Points'; 
                Description = 'Reward points accrued by customer'; 
                ToolTip = 'Specifies the total number of points that the customer has at this point.';
                Editable = false;

• Inserted here: quantum chemistry results:
____________
{"formula": "C27H28N2O6OsSSi", "method": "wB97M-V/def2-TZVPD", "elements": ["Os", "O", "C", "C", "C", "N", "C", "C", "C", "O", "O", "C", "O", "O", "H", "H", "H", "C", "C", "C", "C", "C", "C", "C", "C", "S", "C", "N", "C", "C", "C", "C", "C", "C", "C", "C", "H", "H", "H", "H", "H", "H", "H", "H", "H", "H", "H", "H", "H", "H", "H", "H", "C", "Si", "C", "C", "O", "H", "H", "H", "H", "H", "H", "H", "H", "H"], "positions_angstrom": [[1.662, 0.166, -1.136], [4.116, -3.972, 2.498], [3.563, -2.954, 1.799], [2.350, -2.392, 2.138], [1.878, -1.323, 1.355], [2.533, -1.069, 0.180], [3.793, -1.473, -0.037], [4.356, -2.434, 0.740], [4.451, -0.603, -1.089], [5.591, -0.765, -1.441], [3.663, 0.387, -1.473], [0.944, -0.283, 1.596], [-0.235, -0.517, 2.240], [1.080, 0.819, 0.959], [3.522, -4.243, 3.210], [1.822, -2.680, 3.040], [5.372, -2.764, 0.578], [-4.228, 1.450, 3.081], [-2.861, 0.776, 3.270], [-1.803, 1.881, 3.381], [-2.864, -0.031, 4.577], [-2.601, -0.176, 2.103], [-3.500, -1.149, 1.777], [-3.336, -2.020, 0.682], [-2.211, -1.842, -0.148], [-1.777, -2.756, -1.552], [-0.359, -1.815, -1.737], [-0.229, -0.869, -0.827], [-1.267, -0.877, 0.090], [-1.319, -0.051, 1.342], [0.648, -1.991, -2.771], [0.557, -2.960, -3.765], [1.542, -3.035, -4.734], [2.605, -2.137, -4.710], [2.705, -1.180, -3.709], [1.732, -1.101, -2.714], [-4.413, 2.148, 3.902], [-5.042, 0.724, 3.068], [-4.257, 2.011, 2.144], [-2.014, 2.484, 4.265], [-1.825, 2.551, 2.518], [-0.796, 1.477, 3.478], [-3.042, 0.634, 5.425], [-1.903, -0.527, 4.723], [-3.645, -0.794, 4.574], [-4.402, -1.255, 2.368], [-4.064, -2.791, 0.475], [-1.100, 0.990, 1.116], [-0.281, -3.651, -3.781], [1.483, -3.788, -5.508], [3.370, -2.189, -5.475], [3.544, -0.496, -3.698], [-1.719, 2.723, -2.637], [0.010, 3.045, -2.027], [0.860, 4.254, -3.149], [-0.080, 3.725, -0.297], [0.843, 1.629, -2.035], [-2.290, 3.655, -2.669], [-2.244, 2.026, -1.977], [-1.709, 2.295, -3.643], [0.330, 5.211, -3.166], [0.902, 3.868, -4.171], [1.885, 4.434, -2.814], [-0.584, 4.696, -0.288], [0.919, 3.851, 0.127], [-0.632, 3.046, 0.359]], "spin_multiplicity": 5, "energy_ev": -64899.7999, "fmax_ha_per_bohr": 0.0167}

***
____________

    trigger OnAfterGetRecord(); 
        CustomerRewardsMgtExt: Codeunit "Customer Rewards Ext. Mgt."; 
        // Get the reward level associated with reward points 
        RewardLevel := CustomerRewardsMgtExt.GetRewardLevel(Rec.RewardPoints); 

        RewardLevel: Text; 


Entering the tpageext shortcut will create the basic layout for a page extension object when you're using the AL Language extension in Visual Studio Code.

Whether you're creating a new page or extending an existing page, you'll add a new .al file to your project and describe the page object in code. The basic difference is that for a new page, you need to define the entire page, whereas when you're modifying an existing page, you only add the extra functionality or modify the existing page.

(Here the page breaks off for data records)
********
99
Properties=species:S:1:pos:R:3 method="wB97M-V/def2-TZVPD" energy_ha=-1742.519512 smiles=CC(C)O.CC(C)O.CC(C)O.CC(C)O.CC(C)O.CC(C)O.CC(C)O.O.O.O.O.O
C -0.89 4.15 -0.19
C -0.21 4.67 -1.48
C 0.74 5.93 -1.28
O 0.48 3.63 -2.11
H -0.15 3.82 0.53
H -1.65 3.37 -0.28
H -1.40 5.03 0.21
H -0.92 5.04 -2.22
H 0.35 6.64 -0.55
H 0.99 6.47 -2.19
H 1.65 5.53 -0.85
H 0.56 3.03 -1.37
C -4.66 -0.57 0.14
C -3.92 -0.91 1.37
C -4.76 -1.24 2.61
O -3.16 -2.07 1.09
H -5.32 -1.35 -0.22
H -3.98 -0.37 -0.69
H -5.12 0.40 0.33
H -3.21 -0.12 1.59
H -5.72 -1.71 2.39
H -4.96 -0.29 3.11
H -4.23 -1.89 3.30
H -2.61 -2.23 1.86
C -4.58 1.36 -2.66
C -4.22 2.02 -4.03
C -2.78 1.82 -4.27
O -4.93 1.36 -5.04
H -4.32 0.31 -2.75
H -5.56 1.43 -2.21
H -3.94 1.75 -1.86
H -4.37 3.10 -4.03
H -2.50 2.13 -5.27
H -2.54 0.76 -4.32
H -2.18 2.21 -3.44
H -5.87 1.57 -4.98
C 4.10 2.67 0.62
C 3.54 2.21 1.94
C 2.48 3.16 2.60
O 2.90 0.97 1.82
H 3.38 2.68 -0.19
H 4.89 2.01 0.27
H 4.53 3.67 0.69
H 4.37 2.09 2.64
H 1.63 3.08 1.92
H 2.75 4.21 2.66
H 2.11 2.84 3.58
H 2.75 0.68 2.72
C 0.20 -4.08 4.20
C -0.23 -3.30 2.96
C -0.61 -4.18 1.75
O -1.41 -2.60 3.28
H 1.04 -4.74 3.98
H -0.59 -4.75 4.53
H 0.53 -3.45 5.02
H 0.58 -2.59 2.77
H -0.78 -3.57 0.87
H -1.46 -4.78 2.07
H 0.28 -4.76 1.50
H -1.15 -1.85 3.81
C 4.36 -1.67 1.38
C 4.85 -3.11 1.68
C 3.85 -3.87 2.63
O 4.90 -3.83 0.43
H 4.45 -0.97 2.21
H 3.32 -1.69 1.05
H 5.03 -1.27 0.63
H 5.84 -3.18 2.13
H 4.17 -4.92 2.67
H 2.84 -3.96 2.23
H 3.86 -3.39 3.60
H 5.54 -3.34 -0.10
C 0.26 -0.78 0.23
C 0.51 0.28 -0.80
C -0.54 0.53 -1.90
O 0.72 1.57 -0.17
H 0.15 -1.76 -0.24
H -0.67 -0.41 0.67
H 1.03 -0.84 0.99
H 1.41 0.03 -1.37
H -0.52 -0.34 -2.56
H -0.45 1.37 -2.59
H -1.57 0.46 -1.56
H 1.32 1.38 0.55
O 2.52 1.76 -3.34
H 2.02 1.10 -3.81
H 1.86 2.25 -2.84
O -0.04 -3.07 -2.55
H 0.02 -3.77 -3.21
H -0.95 -3.08 -2.27
O 2.79 -2.92 -2.22
H 1.87 -3.11 -2.07
H 3.15 -2.78 -1.35
O -1.25 0.48 3.11
H -0.87 0.42 2.23
H -0.50 0.54 3.70
O -0.12 -1.23 -5.21
H -0.34 -1.63 -4.37
H -0.70 -1.66 -5.84

~~~~~

[1]
Here is a molecular structure, C4H5KO5 from the Open Molecules 2025 dataset. Energies are from ωB97M-V/def2-TZVPD.

The geometry in ORCA input format:
```
! wB97M-V def2-TZVPD RIJCOSX def2/J DEFGRID3
* xyz 1 2
K 3.53270 1.38233 -1.24030
O -1.04418 0.51957 -0.83466
O 0.22290 2.03693 -1.78047
O 2.65079 0.33624 1.00296
O 1.01358 -1.16837 1.30136
O -0.86325 2.64569 -0.10047
C -0.69274 1.75849 -0.96793
C -0.59738 -0.34874 0.24117
C 1.69254 -0.14727 1.52127
C -1.20627 -1.66102 -0.21954
H 0.48309 0.63455 0.84708
H -1.10305 -2.43291 0.55107
H -0.66711 -1.99277 -1.11615
H -2.29183 -1.56636 -0.34072
H -1.12980 0.00364 1.13535
*
```

Its energy above the lowest of the compared OMol25 structures with the same formula, charge and spin is 708.3 kJ/mol. For the total energy, the calculation gives -1131.09606 hartree. The calculation puts the HOMO-LUMO gap (alpha / beta) at 8.17 / 7.15 eV.

Here are the natural (NBO) charges for atoms 1 to 6, given in e: 1.00, -0.53, -0.44, -0.58, -0.51, -0.33

***

[2]
********
(The page goes on)

You can use keywords in the layout section of a page extension to place and move fields and groups on the page. Similarly, in the actions section, you can use these keywords to place actions in the ribbon.

Attached: molecular data:
+++
Molecular formula: C3H6ClNO3S2
Method: DFT, ωB97M-V/def2-TZVPD

Element x y z (Å)
1 C -0.87378 0.61614 -0.20063
2 C -0.66814 -0.85247 -0.70125
3 C 1.29900 -0.70682 0.65646
4 N -1.00052 0.63305 1.22523
5 O 2.51295 3.66043 2.57738
6 O 1.34527 1.79335 1.73731
7 O 0.27079 -1.49086 0.11184
8 S 0.27066 0.37894 2.02636
9 S 1.17764 3.17506 2.48677
10 Cl 0.69305 2.24971 4.27062
11 H 0.15259 1.14441 -0.49905
12 H -1.61530 1.15518 -0.58848
13 H -1.53179 -1.53216 -0.68196
14 H -0.21109 -0.84793 -1.67373
15 H 1.92321 -1.25297 1.30349
16 H 1.79420 -0.02250 -0.01280

- LUMO energy: 0.07 eV
- HOMO level: -0.345 hartree
- Energy relative to the best compared isomer or geometry (same formula, charge and spin): 6.4 kJ/mol

Löwdin population analysis, charges in e, atoms 1 to 5: -0.256 -0.184 -0.200 -0.348 -0.454

***

Molecular formula: C5H15NO
Method: DFT, ωB97M-V/def2-TZVPD

Element x y z (Å)
1 C -1.65140 -1.81902 0.92197
2 C -0.28843 -1.29192 1.32963
3 N 0.30796 -0.51914 0.13392
4 C 0.28008 -1.32158 -1.16215
5 C 1.73300 -0.01892 0.24463
6 C 1.74916 1.04813 1.27493
7 H -2.26394 -1.18150 0.20599
8 H -1.57285 -2.86791 0.61523
9 H -2.12188 -2.03277 2.04446
10 H 0.43779 -2.15373 1.71960
11 H -0.54857 -0.39038 1.99747
12 H 0.98093 -2.09916 -1.14995
13 H 0.91005 -0.67813 -1.98660
14 H -0.72635 -1.55917 -1.55167
15 H 2.09915 0.31690 -0.77217
16 H 2.58204 -0.76088 0.41047
17 H 2.23942 0.83374 2.15010
18 H 0.74837 1.10738 1.83556
19 H 1.96493 2.05146 0.70371
20 O -2.68537 4.30526 -3.15879
21 H -1.92710 4.92808 -3.49627
22 H -2.24701 4.10326 -2.31010

- LUMO energy: 0.77 eV
- SMILES: CCN(C)CC.O
- HOMO level: -0.316 hartree
- Energy relative to the best compared isomer or geometry (same formula, charge and spin): 355.0 kJ/mol

Löwdin population analysis, charges in e, atoms 1 to 5: -0.157 -0.270 -0.223 -0.112 -0.315

***

Molecular formula: CH3O2S2
Method: DFT, ωB97M-V/def2-TZVPD

Element x y z (Å)
1 C -0.19047 0.70422 0.08347
2 O 2.01953 0.94008 0.00079
3 O 1.31029 -1.39168 -0.57060
4 S -2.28245 -0.70560 0.25733
5 S 1.28007 -0.31581 0.43696
6 H -0.27834 0.98507 -0.95432
7 H -0.38689 1.48384 0.80361
8 H -1.47175 -1.70012 -0.05725

- LUMO energy: 3.51 eV
- Total charge: -1
- HOMO level: -0.150 hartree
- Energy relative to the best compared isomer or geometry (same formula, charge and spin): 238.6 kJ/mol

Löwdin population analysis, charges in e, atoms 1 to 5: -0.305 -0.575 -0.563 0.192 0.570

***

Molecular formula: C7H10N5
Method: DFT, ωB97M-V/def2-TZVPD

Element x y z (Å)
1 C -2.26441 -2.73039 0.47331
2 C -2.73716 -1.40302 0.41457
3 C -0.64828 -1.58676 -0.17679
4 C 0.89348 0.69072 0.16533
5 C -0.20687 1.32912 -0.27847
6 C 2.07779 -0.01461 0.40363
7 C -0.30041 2.73470 -0.89767
8 N -0.96683 -2.79560 0.03656
9 N -1.58541 -0.62600 0.09596
10 N -1.43819 0.67547 -0.25060
11 N 2.66225 -0.79712 -0.51338
12 N 2.59536 0.26602 1.60195
13 H -2.71966 -3.73179 0.64682
14 H -3.71497 -1.00860 0.48626
15 H -0.23976 2.72095 -1.99451
16 H 0.38576 3.44949 -0.47235
+++

In this example, you'll use the keyword addafter(Name) to indicate that you want to add the fields after the Name field, which is currently already present on the Customer Card page.

You can use the Ctrl+Space keyboard shortcut to trigger IntelliSense and get assistance on code completion, parameter info, quick info, and member lists. This feature can be helpful when you're creating page extension objects.


Later in this module there is an exercise where you can create this object, following step by step instructions.

Because the codeunit Customer Rewards Ext Mgt doesn't exist yet, the compiler will show an error on this line. To remove the error, temporarily, comment out that section of the code.